_Entries_
~~~
Record 1
Here is a relaxed structure of Ca2TbFeO6 from Materials Project. Energies are from PBE with a Hubbard U. Values from VASP.

## Properties
Calculated density, Mg/m³: 4.95
E_form, eV per formula unit: -25.8
Space group: Fm-3m, No. 225

Structure (Quantum ESPRESSO input):
```
&SYSTEM
  ibrav = 0, nat = 10, ntyp = 4
/
ATOMIC_SPECIES
O 16.00 O.upf
Fe 55.84 Fe.upf
Ca 40.08 Ca.upf
Tb 158.93 Tb.upf
ATOMIC_POSITIONS angstrom
O 4.033 -6.206 -4.033
O 4.033 -4.033 -6.206
O 4.033 -4.033 -1.860
O 6.206 -4.033 -4.033
O 4.033 -1.860 -4.033
O 1.860 -4.033 -4.033
Fe 0.000 0.000 0.000
Ca 6.049 -6.049 -6.049
Ca 2.016 -2.016 -2.016
Tb 4.033 -4.033 -4.033
CELL_PARAMETERS angstrom
0.000 -4.033 -4.033
4.033 0.000 -4.033
4.033 -4.033 0.000
```

---

Record 2
Here is a relaxed structure of Ca3TiFe2O8 from Materials Project. Energies are from PBE with a Hubbard U. Values from VASP.

## Properties
Calculated density, Mg/m³: 3.89
E_form, eV per formula unit: -39.6
Space group: P2_1, No. 4

Structure (Quantum ESPRESSO input):
```
&SYSTEM
  ibrav = 0, nat = 28, ntyp = 4
/
ATOMIC_SPECIES
O 16.00 O.upf
Ca 40.08 Ca.upf
Fe 55.84 Fe.upf
Ti 47.87 Ti.upf
ATOMIC_POSITIONS angstrom
O 5.441 3.689 5.694
O 2.687 1.890 5.643
O 2.927 0.974 9.699
O 2.912 0.969 1.648
O 4.019 2.952 7.960
O 1.516 5.475 4.009
O 4.233 0.137 4.009
O 0.509 2.065 11.333
O 0.159 4.610 9.688
O 1.480 5.442 7.327
O 4.269 0.104 7.328
O 1.266 2.627 3.376
O 0.174 4.605 1.637
O 3.262 3.515 0.003
O 3.986 2.890 3.368
O 1.233 2.689 7.968
Ca 2.577 4.312 2.120
Ca 0.108 1.286 5.666
Ca 5.331 1.267 9.216
Ca 5.332 1.267 2.115
Ca 2.579 4.312 9.222
Ca 2.861 4.293 5.670
Fe 5.488 4.147 3.725
Fe 2.445 1.742 0.011
Fe 2.735 1.432 7.612
Fe 5.198 3.838 11.326
Ti 5.487 4.098 7.515
Ti 2.734 1.481 3.821
CELL_PARAMETERS angstrom
5.506 0.000 0.000
0.000 5.571 0.000
0.000 0.008 11.337
```

---

Record 3
Here is a relaxed structure of CaTi2FeO6 from Materials Project. Energies are from PBE with a Hubbard U. Values from VASP.

## Properties
Calculated density, Mg/m³: 4.37
E_form, eV per formula unit: -31.2
Space group: P4_2/nmc, No. 137

Structure (Quantum ESPRESSO input):
```
&SYSTEM
  ibrav = 0, nat = 40, ntyp = 4
/
ATOMIC_SPECIES
O 16.00 O.upf
Ti 47.87 Ti.upf
Ca 40.08 Ca.upf
Fe 55.84 Fe.upf
ATOMIC_POSITIONS angstrom
O 1.464 6.109 3.813
O 3.787 5.353 2.443
O 2.322 2.322 0.000
O 5.353 3.787 5.184
O 2.220 3.787 5.184
O 1.475 3.787 2.187
O 3.787 6.099 5.439
O 6.099 3.787 2.187
O 1.566 0.000 6.256
O 5.251 5.251 0.000
O 2.312 0.000 1.626
O 3.787 2.220 2.443
O 0.000 6.007 1.370
O 0.000 1.566 1.370
O 6.007 0.000 6.256
O 0.000 2.312 6.001
O 5.251 2.322 0.000
O 5.262 0.000 1.626
O 3.787 1.475 5.439
O 0.000 5.262 6.001
O 6.109 6.109 3.813
O 2.322 5.251 0.000
O 1.464 1.464 3.813
O 6.109 1.464 3.813
Ti 5.680 5.680 1.907
Ti 1.893 5.680 5.720
Ti 1.893 5.680 1.907
Ti 5.680 5.680 5.720
Ti 5.680 1.893 1.907
Ti 5.680 1.893 5.720
Ti 1.893 1.893 5.720
Ti 1.893 1.893 1.907
Ca 0.000 3.787 0.214
Ca 3.787 0.000 7.412
Ca 3.787 0.000 3.599
Ca 0.000 3.787 4.027
Fe 0.000 0.000 0.000
Fe 3.787 3.787 3.813
Fe 0.000 0.000 3.813
Fe 3.787 3.787 0.000
CELL_PARAMETERS angstrom
7.574 0.000 0.000
0.000 7.574 0.000
0.000 0.000 7.626
```

---

Record 4
Here is a relaxed structure of Ca6V3Fe7O24 from Materials Project. Energies are from PBE with a Hubbard U. Values from VASP.

## Properties
Calculated density, Mg/m³: 3.85
E_form, eV per formula unit: -97.8
Space group: I-43d, No. 220

Structure (Quantum ESPRESSO input):
```
&SYSTEM
  ibrav = 0, nat = 80, ntyp = 4
/
ATOMIC_SPECIES
O 16.00 O.upf
Ca 40.08 Ca.upf
Fe 55.84 Fe.upf
V 50.94 V.upf
ATOMIC_POSITIONS angstrom
O 2.129 -7.137 0.219
O 0.779 -5.910 3.198
O 3.972 -4.956 0.025
O -3.890 -6.657 -3.099
O -3.567 -2.593 7.043
O 2.387 -3.432 7.311
O 2.726 -5.543 5.330
O -2.263 -2.896 9.725
O -0.448 -3.152 3.010
O -8.024 -2.582 3.603
O -4.250 -6.019 1.106
O -1.471 -1.233 -0.570
O -1.087 -1.960 5.943
O -2.756 -7.992 -0.585
O -0.295 -0.354 1.948
O -2.112 -5.546 3.248
O 5.305 -6.805 -1.921
O 0.007 -4.603 5.859
~~~
_Request_
The reader should quote the entries further up from the first line to the one with "0.214" unchanged.
_Result_
Record 1
Here is a relaxed structure of Ca2TbFeO6 from Materials Project. Energies are from PBE with a Hubbard U. Values from VASP.

## Properties
Calculated density, Mg/m³: 4.95
E_form, eV per formula unit: -25.8
Space group: Fm-3m, No. 225

Structure (Quantum ESPRESSO input):
```
&SYSTEM
  ibrav = 0, nat = 10, ntyp = 4
/
ATOMIC_SPECIES
O 16.00 O.upf
Fe 55.84 Fe.upf
Ca 40.08 Ca.upf
Tb 158.93 Tb.upf
ATOMIC_POSITIONS angstrom
O 4.033 -6.206 -4.033
O 4.033 -4.033 -6.206
O 4.033 -4.033 -1.860
O 6.206 -4.033 -4.033
O 4.033 -1.860 -4.033
O 1.860 -4.033 -4.033
Fe 0.000 0.000 0.000
Ca 6.049 -6.049 -6.049
Ca 2.016 -2.016 -2.016
Tb 4.033 -4.033 -4.033
CELL_PARAMETERS angstrom
0.000 -4.033 -4.033
4.033 0.000 -4.033
4.033 -4.033 0.000
```

---

Record 2
Here is a relaxed structure of Ca3TiFe2O8 from Materials Project. Energies are from PBE with a Hubbard U. Values from VASP.

## Properties
Calculated density, Mg/m³: 3.89
E_form, eV per formula unit: -39.6
Space group: P2_1, No. 4

Structure (Quantum ESPRESSO input):
```
&SYSTEM
  ibrav = 0, nat = 28, ntyp = 4
/
ATOMIC_SPECIES
O 16.00 O.upf
Ca 40.08 Ca.upf
Fe 55.84 Fe.upf
Ti 47.87 Ti.upf
ATOMIC_POSITIONS angstrom
O 5.441 3.689 5.694
O 2.687 1.890 5.643
O 2.927 0.974 9.699
O 2.912 0.969 1.648
O 4.019 2.952 7.960
O 1.516 5.475 4.009
O 4.233 0.137 4.009
O 0.509 2.065 11.333
O 0.159 4.610 9.688
O 1.480 5.442 7.327
O 4.269 0.104 7.328
O 1.266 2.627 3.376
O 0.174 4.605 1.637
O 3.262 3.515 0.003
O 3.986 2.890 3.368
O 1.233 2.689 7.968
Ca 2.577 4.312 2.120
Ca 0.108 1.286 5.666
Ca 5.331 1.267 9.216
Ca 5.332 1.267 2.115
Ca 2.579 4.312 9.222
Ca 2.861 4.293 5.670
Fe 5.488 4.147 3.725
Fe 2.445 1.742 0.011
Fe 2.735 1.432 7.612
Fe 5.198 3.838 11.326
Ti 5.487 4.098 7.515
Ti 2.734 1.481 3.821
CELL_PARAMETERS angstrom
5.506 0.000 0.000
0.000 5.571 0.000
0.000 0.008 11.337
```

---

Record 3
Here is a relaxed structure of CaTi2FeO6 from Materials Project. Energies are from PBE with a Hubbard U. Values from VASP.

## Properties
Calculated density, Mg/m³: 4.37
E_form, eV per formula unit: -31.2
Space group: P4_2/nmc, No. 137

Structure (Quantum ESPRESSO input):
```
&SYSTEM
  ibrav = 0, nat = 40, ntyp = 4
/
ATOMIC_SPECIES
O 16.00 O.upf
Ti 47.87 Ti.upf
Ca 40.08 Ca.upf
Fe 55.84 Fe.upf
ATOMIC_POSITIONS angstrom
O 1.464 6.109 3.813
O 3.787 5.353 2.443
O 2.322 2.322 0.000
O 5.353 3.787 5.184
O 2.220 3.787 5.184
O 1.475 3.787 2.187
O 3.787 6.099 5.439
O 6.099 3.787 2.187
O 1.566 0.000 6.256
O 5.251 5.251 0.000
O 2.312 0.000 1.626
O 3.787 2.220 2.443
O 0.000 6.007 1.370
O 0.000 1.566 1.370
O 6.007 0.000 6.256
O 0.000 2.312 6.001
O 5.251 2.322 0.000
O 5.262 0.000 1.626
O 3.787 1.475 5.439
O 0.000 5.262 6.001
O 6.109 6.109 3.813
O 2.322 5.251 0.000
O 1.464 1.464 3.813
O 6.109 1.464 3.813
Ti 5.680 5.680 1.907
Ti 1.893 5.680 5.720
Ti 1.893 5.680 1.907
Ti 5.680 5.680 5.720
Ti 5.680 1.893 1.907
Ti 5.680 1.893 5.720
Ti 1.893 1.893 5.720
Ti 1.893 1.893 1.907
Ca 0.000 3.787 0.214